Wanted:
Your job: return everything underneath without altering anything.
Input:
- - -
The molecule C3H3N3, computed with ωB97M-V/def2-TZVPD.

## Properties
SMILES: c1cnnnc1
HOMO level (eV): -9.975
DFT total energy (hartree): -280.3131
Strongest force on any atom (eV Å⁻¹): 0.28
Relative energy (zero: lowest compared OMol25 entry of this formula, charge and spin) (kcal per mole): 42.4

Last column: Löwdin charge in e.
Cartesian coordinates (Å):
C  1.314  0.311  -0.004  -0.0456
C  0.853  -0.994  0.004  -0.1367
C  0.318  1.272  -0.002  -0.1317
H  2.371  0.553  0.000  0.1049
H  1.521  -1.857  0.010  0.1086
H  0.533  2.337  0.001  0.1064
N  -0.446  -1.285  -0.003  0.0146
N  -1.338  -0.315  -0.002  -0.0344
N  -0.978  0.948  0.005  0.0139


[1]
# C25H73N5O9

A cluster of 9 separate species, C25H73N5O9 in total in a non-equilibrium geometry (ωB97M-V with the def2-TZVPD basis set, the OMol25 dataset).

As for the SMILES: COC[C@H](C)N.COC[C@H](C)N.COC[C@H](C)N.COC[C@H](C)N.COC[C@H](C)N.CCO.CO.CO.CO. The energy above the lowest of the compared OMol25 structures with the same formula, charge and spin is 24.7 kcal/mol. The HOMO-LUMO gap comes out at 9.52 eV. The value obtained for the molar mass is 587.88 g mol⁻¹.

The geometry in XYZ format:
```
112
Properties=species:S:1:pos:R:3:mulliken_charge:R:1
C -3.382 -11.260 19.434 -0.90
O -4.651 -10.489 19.399 -0.10
C -4.625 -9.536 20.444 -1.22
C -5.274 -8.297 20.022 0.48
C -6.701 -8.436 19.623 -1.21
N -4.552 -7.675 18.948 -0.60
H -2.435 -10.765 19.218 0.37
H -3.565 -12.086 18.747 0.13
H -3.257 -11.775 20.387 0.47
H -5.048 -10.033 21.317 0.38
H -3.602 -9.418 20.801 0.57
H -5.262 -7.593 20.855 0.34
H -7.155 -7.453 19.503 0.37
H -7.127 -8.946 20.487 0.45
H -6.939 -9.094 18.787 0.03
H -4.612 -8.305 18.161 0.06
H -3.551 -7.635 19.076 0.30
C -1.409 -13.857 16.170 -0.72
O -1.854 -13.652 14.849 -0.31
C -3.215 -14.011 14.568 -0.66
C -3.591 -13.458 13.156 0.13
C -3.455 -11.973 12.993 -0.87
N -4.929 -13.795 12.844 -0.59
H -1.326 -12.844 16.564 0.19
H -0.411 -14.293 16.138 0.27
H -1.977 -14.465 16.875 0.34
H -3.284 -15.098 14.609 0.43
H -3.921 -13.551 15.259 0.17
H -2.927 -14.017 12.497 0.41
H -4.181 -11.508 13.660 -0.01
H -3.582 -11.679 11.951 0.43
H -2.424 -11.769 13.282 0.30
H -4.905 -14.797 12.723 0.27
H -5.101 -13.355 11.951 0.23
C -4.066 -5.195 10.710 -0.84
O -4.792 -6.381 10.702 -0.16
C -4.004 -7.478 10.302 -1.18
C -4.636 -8.769 10.740 1.64
C -4.514 -9.087 12.238 -0.87
N -4.310 -9.941 9.946 -0.58
H -3.637 -5.063 9.716 0.32
H -3.293 -5.205 11.478 0.32
H -4.827 -4.509 11.082 0.21
H -3.971 -7.404 9.215 0.49
H -2.949 -7.456 10.574 0.47
H -5.686 -8.531 10.568 -0.95
H -3.501 -9.379 12.515 0.15
H -5.149 -9.942 12.469 -0.19
H -4.792 -8.233 12.857 0.57
H -5.121 -10.507 9.740 0.24
H -3.865 -9.848 9.044 0.24
C -9.423 -6.452 14.106 -0.69
O -9.272 -5.930 15.399 -0.42
C -7.948 -5.897 15.878 -0.01
C -7.888 -5.009 17.204 0.51
C -8.221 -3.485 16.885 -1.61
N -6.561 -4.884 17.873 -0.78
H -8.889 -5.911 13.325 0.41
H -10.473 -6.285 13.867 0.44
H -9.280 -7.531 14.046 -0.02
H -7.768 -6.939 16.143 -0.46
H -7.306 -5.451 15.119 0.67
H -8.492 -5.495 17.970 0.36
H -7.419 -2.909 16.422 0.39
H -8.400 -2.888 17.779 0.44
H -9.129 -3.307 16.309 0.35
H -6.516 -5.731 18.422 0.17
H -6.635 -4.177 18.591 0.27
C -8.373 -7.071 10.333 -0.59
O -8.904 -8.103 11.084 -0.15
C -9.137 -9.272 10.305 -0.94
C -9.261 -10.499 11.249 0.29
C -8.138 -10.603 12.251 -0.58
N -9.451 -11.766 10.632 -0.70
H -8.450 -6.110 10.843 0.20
H -8.909 -6.993 9.387 0.35
H -7.344 -7.357 10.117 0.10
H -10.106 -9.047 9.859 0.46
H -8.428 -9.514 9.513 0.45
H -10.058 -10.184 11.922 0.27
H -7.210 -10.645 11.680 -0.13
H -8.111 -11.550 12.791 0.44
H -8.240 -9.841 13.023 -0.03
H -9.865 -12.369 11.328 0.28
H -10.149 -11.633 9.914 0.28
C -10.047 -8.704 16.843 0.11
C -10.952 -9.539 17.833 -0.54
O -12.081 -8.808 18.312 -0.55
H -9.154 -9.262 16.560 -0.16
H -9.678 -7.786 17.300 -0.08
H -10.605 -8.326 15.986 0.29
H -10.351 -9.948 18.645 0.27
H -11.321 -10.419 17.306 0.31
H -11.826 -8.291 19.079 0.32
C -8.220 -12.374 16.235 -0.50
O -7.988 -11.637 17.425 -0.36
- - -
Completed:
The molecule C3H3N3, computed with ωB97M-V/def2-TZVPD.

## Properties
SMILES: c1cnnnc1
HOMO level (eV): -9.975
DFT total energy (hartree): -280.3131
Strongest force on any atom (eV Å⁻¹): 0.28
Relative energy (zero: lowest compared OMol25 entry of this formula, charge and spin) (kcal per mole): 42.4

Last column: Löwdin charge in e.
Cartesian coordinates (Å):
C  1.314  0.311  -0.004  -0.0456
C  0.853  -0.994  0.004  -0.1367
C  0.318  1.272  -0.002  -0.1317
H  2.371  0.553  0.000  0.1049
H  1.521  -1.857  0.010  0.1086
H  0.533  2.337  0.001  0.1064
N  -0.446  -1.285  -0.003  0.0146
N  -1.338  -0.315  -0.002  -0.0344
N  -0.978  0.948  0.005  0.0139


[1]
# C25H73N5O9

A cluster of 9 separate species, C25H73N5O9 in total in a non-equilibrium geometry (ωB97M-V with the def2-TZVPD basis set, the OMol25 dataset).

As for the SMILES: COC[C@H](C)N.COC[C@H](C)N.COC[C@H](C)N.COC[C@H](C)N.COC[C@H](C)N.CCO.CO.CO.CO. The energy above the lowest of the compared OMol25 structures with the same formula, charge and spin is 24.7 kcal/mol. The HOMO-LUMO gap comes out at 9.52 eV. The value obtained for the molar mass is 587.88 g mol⁻¹.

The geometry in XYZ format:
```
112
Properties=species:S:1:pos:R:3:mulliken_charge:R:1
C -3.382 -11.260 19.434 -0.90
O -4.651 -10.489 19.399 -0.10
C -4.625 -9.536 20.444 -1.22
C -5.274 -8.297 20.022 0.48
C -6.701 -8.436 19.623 -1.21
N -4.552 -7.675 18.948 -0.60
H -2.435 -10.765 19.218 0.37
H -3.565 -12.086 18.747 0.13
H -3.257 -11.775 20.387 0.47
H -5.048 -10.033 21.317 0.38
H -3.602 -9.418 20.801 0.57
H -5.262 -7.593 20.855 0.34
H -7.155 -7.453 19.503 0.37
H -7.127 -8.946 20.487 0.45
H -6.939 -9.094 18.787 0.03
H -4.612 -8.305 18.161 0.06
H -3.551 -7.635 19.076 0.30
C -1.409 -13.857 16.170 -0.72
O -1.854 -13.652 14.849 -0.31
C -3.215 -14.011 14.568 -0.66
C -3.591 -13.458 13.156 0.13
C -3.455 -11.973 12.993 -0.87
N -4.929 -13.795 12.844 -0.59
H -1.326 -12.844 16.564 0.19
H -0.411 -14.293 16.138 0.27
H -1.977 -14.465 16.875 0.34
H -3.284 -15.098 14.609 0.43
H -3.921 -13.551 15.259 0.17
H -2.927 -14.017 12.497 0.41
H -4.181 -11.508 13.660 -0.01
H -3.582 -11.679 11.951 0.43
H -2.424 -11.769 13.282 0.30
H -4.905 -14.797 12.723 0.27
H -5.101 -13.355 11.951 0.23
C -4.066 -5.195 10.710 -0.84
O -4.792 -6.381 10.702 -0.16
C -4.004 -7.478 10.302 -1.18
C -4.636 -8.769 10.740 1.64
C -4.514 -9.087 12.238 -0.87
N -4.310 -9.941 9.946 -0.58
H -3.637 -5.063 9.716 0.32
H -3.293 -5.205 11.478 0.32
H -4.827 -4.509 11.082 0.21
H -3.971 -7.404 9.215 0.49
H -2.949 -7.456 10.574 0.47
H -5.686 -8.531 10.568 -0.95
H -3.501 -9.379 12.515 0.15
H -5.149 -9.942 12.469 -0.19
H -4.792 -8.233 12.857 0.57
H -5.121 -10.507 9.740 0.24
H -3.865 -9.848 9.044 0.24
C -9.423 -6.452 14.106 -0.69
O -9.272 -5.930 15.399 -0.42
C -7.948 -5.897 15.878 -0.01
C -7.888 -5.009 17.204 0.51
C -8.221 -3.485 16.885 -1.61
N -6.561 -4.884 17.873 -0.78
H -8.889 -5.911 13.325 0.41
H -10.473 -6.285 13.867 0.44
H -9.280 -7.531 14.046 -0.02
H -7.768 -6.939 16.143 -0.46
H -7.306 -5.451 15.119 0.67
H -8.492 -5.495 17.970 0.36
H -7.419 -2.909 16.422 0.39
H -8.400 -2.888 17.779 0.44
H -9.129 -3.307 16.309 0.35
H -6.516 -5.731 18.422 0.17
H -6.635 -4.177 18.591 0.27
C -8.373 -7.071 10.333 -0.59
O -8.904 -8.103 11.084 -0.15
C -9.137 -9.272 10.305 -0.94
C -9.261 -10.499 11.249 0.29
C -8.138 -10.603 12.251 -0.58
N -9.451 -11.766 10.632 -0.70
H -8.450 -6.110 10.843 0.20
H -8.909 -6.993 9.387 0.35
H -7.344 -7.357 10.117 0.10
H -10.106 -9.047 9.859 0.46
H -8.428 -9.514 9.513 0.45
H -10.058 -10.184 11.922 0.27
H -7.210 -10.645 11.680 -0.13
H -8.111 -11.550 12.791 0.44
H -8.240 -9.841 13.023 -0.03
H -9.865 -12.369 11.328 0.28
H -10.149 -11.633 9.914 0.28
C -10.047 -8.704 16.843 0.11
C -10.952 -9.539 17.833 -0.54
O -12.081 -8.808 18.312 -0.55
H -9.154 -9.262 16.560 -0.16
H -9.678 -7.786 17.300 -0.08
H -10.605 -8.326 15.986 0.29
H -10.351 -9.948 18.645 0.27
H -11.321 -10.419 17.306 0.31
H -11.826 -8.291 19.079 0.32
C -8.220 -12.374 16.235 -0.50
O -7.988 -11.637 17.425 -0.36